**File**
=====
1) Material: Rb2LiNd2W4O16
Method: DFT, GGA+U
State: relaxed

```
25
Lattice="5.6708 -5.5356 0.0000 5.6708 5.5356 0.0000 -4.9951 0.0000 5.7536" Properties=species:S:1:pos:R:3 pbc="T T T"
Rb 0.0000 0.0000 0.0000
Rb 3.1733 -0.9223 2.8768
Li 5.6708 2.3567 0.0000
Nd 3.1733 5.2939 2.8768
Nd 5.6708 -0.7950 0.0000
W 0.7054 2.3419 3.1101
W 3.1301 2.1906 0.2803
W 5.6412 2.3419 2.6435
W 3.2165 2.1906 5.4733
O -0.6146 1.2059 2.5240
O -0.5773 2.9105 4.5842
O -2.0171 0.5934 5.0903
O 1.9563 1.6358 1.7861
O 4.0842 3.4335 1.5936
O 2.2624 3.4335 4.1600
O 1.5229 1.1326 4.5406
O 4.8237 1.1326 1.2130
O 0.1590 -1.5872 3.5496
O 6.9239 2.9105 1.1693
O 4.3903 1.6358 3.9675
O 3.8375 -2.1914 0.3396
O 8.3637 0.5934 0.6632
O 6.9612 1.2059 3.2295
O 2.5091 -2.1914 5.4140
O 6.1876 -1.5872 2.2040
```

## Properties
crystal system: monoclinic
space group: C2, No. 5
density: 6.701 g/cm3

***

2) Material: Rb2LiNd2W4O16
Method: DFT, GGA+U
State: relaxed

```
25
Lattice="7.5805 0.0000 0.0000 3.5045 6.7408 0.0000 3.7237 -1.6711 6.9982" Properties=species:S:1:pos:R:3 pbc="T T T"
Rb 0.0000 0.0000 0.0000
Rb 7.4777 2.0266 4.8588
Li 8.6530 0.8507 2.5904
Nd 7.2944 6.5215 0.3464
Nd 11.3277 2.0666 4.4716
W 5.4246 5.2207 3.7806
W 5.8095 3.3020 1.1325
W 9.2422 5.4255 3.6693
W 9.5730 3.3191 1.1355
O 5.1546 1.6740 6.3864
O 2.3622 1.4814 1.3106
O 3.7468 3.8392 0.7566
O 5.2175 3.2240 3.0062
O 5.8803 5.2990 1.7887
O 7.4205 4.8321 4.0568
O 5.1837 0.4286 3.5069
O 9.6745 5.2772 5.4549
O 5.2550 1.6617 0.5173
O 10.0424 2.4854 6.5308
O 7.5517 2.7097 1.6039
O 8.9293 5.1755 1.5592
O 9.7459 3.4504 3.2105
O 11.1177 5.9183 3.2210
O 12.3957 4.4081 5.3589
O 9.8109 0.3666 4.0918
```

## Properties
crystal system: triclinic
space group: P1, No. 1
density: 6.769 g/cm3

***

3) Material: Rb2LiNd2W4O16
Method: DFT, GGA+U
State: relaxed

```
25
Lattice="7.5481 0.0000 0.0000 3.6400 6.7251 0.0000 3.5646 -1.7061 7.0958" Properties=species:S:1:pos:R:3 pbc="T T T"
Rb 0.0000 0.0000 0.0000
Rb 7.3688 1.7858 4.2158
Li 4.3622 1.5305 1.9150
Nd 10.9026 4.7217 7.0130
Nd 11.1537 2.0469 4.4110
W 5.2834 5.1743 3.4700
W 5.6964 3.4010 0.7326
W 9.0481 5.2533 3.3998
W 9.4635 3.2257 0.8290
O 5.0892 1.5283 6.1178
O 2.5692 1.4788 1.1008
O 3.6935 3.8733 0.4540
O 5.0778 3.1778 2.7304
O 5.8989 5.3020 1.5581
O 7.2960 4.6535 3.7727
O 4.9024 0.3252 3.2048
O 9.5534 5.2852 5.1661
O 5.2508 1.6204 0.2972
O 9.8791 2.6347 6.2338
O 7.5868 2.7954 1.1838
O 8.9300 5.1508 1.2929
O 9.6595 3.3978 2.9813
O 11.0904 5.7329 3.0186
O 12.2961 4.3136 5.0684
O 9.7033 0.1062 4.0946
```

## Properties
crystal system: triclinic
space group: P1, No. 1
density: 6.720 g/cm3

***

Energy ordering: 2) at the bottom, the next structure 0.023 eV/atom above.

***

1) Material: Li3Ni4O8
Method: DFT, GGA+U
State: relaxed

```
15
Lattice="5.0613 -2.8372 0.0000 5.0613 2.8372 0.0000 -1.7773 0.0000 4.7798" Properties=species:S:1:pos:R:3 pbc="T T T"
Li 0.0000 0.0000 0.0000
Li 2.5265 1.4097 0.0202
Li 5.8187 1.4097 4.7595
Ni 1.6458 -0.0012 2.4264
Ni 4.1726 1.4026 2.3899
Ni 6.6994 -0.0012 2.3533
Ni 4.1726 -1.4157 2.3899
O 2.3182 1.4655 3.4450
O 0.0157 -0.0849 3.4294
O 3.2135 0.0677 1.4128
O 6.0270 1.4655 1.3347
O 2.3660 -1.4746 3.4227
O 5.1317 0.0677 3.3669
O 8.3296 -0.0849 1.3503
O 5.9793 -1.4746 1.3570
```

## Properties
crystal system: monoclinic
space group: C2, No. 5
density: 4.640 g/cm3

***

2) Material: Li3Ni4O8
Method: DFT, GGA+U
State: relaxed

```
15
Lattice="3.9569 -4.2016 0.0000 3.9569 4.2016 0.0000 -3.8946 0.0000 4.0460" Properties=species:S:1:pos:R:3 pbc="T T T"
Li 0.0000 0.0000 0.0000
Li 1.9785 2.1008 0.0000
Li 1.9785 -2.1008 0.0000
Ni 0.0311 2.1008 2.0230
Ni 0.0311 -2.1008 2.0230
Ni 3.9569 0.0000 0.0000
Ni 2.0096 0.0000 2.0230
O 3.9569 1.9064 0.0000
O 2.0568 0.0000 0.1399
O 2.0096 1.8718 2.0230
O 0.1370 0.0000 2.1470
O 3.8822 0.0000 1.8990
O 2.0096 -1.8718 2.0230
O 1.9624 0.0000 3.9061
O 3.9569 -1.9064 0.0000
```

## Properties
crystal system: monoclinic
space group: C2/m, No. 12
density: 4.735 g/cm3

***
=====

**Work order**
It remains to return the contents above without altering anything.

**Completed**
1) Material: Rb2LiNd2W4O16
Method: DFT, GGA+U
State: relaxed

```
25
Lattice="5.6708 -5.5356 0.0000 5.6708 5.5356 0.0000 -4.9951 0.0000 5.7536" Properties=species:S:1:pos:R:3 pbc="T T T"
Rb 0.0000 0.0000 0.0000
Rb 3.1733 -0.9223 2.8768
Li 5.6708 2.3567 0.0000
Nd 3.1733 5.2939 2.8768
Nd 5.6708 -0.7950 0.0000
W 0.7054 2.3419 3.1101
W 3.1301 2.1906 0.2803
W 5.6412 2.3419 2.6435
W 3.2165 2.1906 5.4733
O -0.6146 1.2059 2.5240
O -0.5773 2.9105 4.5842
O -2.0171 0.5934 5.0903
O 1.9563 1.6358 1.7861
O 4.0842 3.4335 1.5936
O 2.2624 3.4335 4.1600
O 1.5229 1.1326 4.5406
O 4.8237 1.1326 1.2130
O 0.1590 -1.5872 3.5496
O 6.9239 2.9105 1.1693
O 4.3903 1.6358 3.9675
O 3.8375 -2.1914 0.3396
O 8.3637 0.5934 0.6632
O 6.9612 1.2059 3.2295
O 2.5091 -2.1914 5.4140
O 6.1876 -1.5872 2.2040
```

## Properties
crystal system: monoclinic
space group: C2, No. 5
density: 6.701 g/cm3

***

2) Material: Rb2LiNd2W4O16
Method: DFT, GGA+U
State: relaxed

```
25
Lattice="7.5805 0.0000 0.0000 3.5045 6.7408 0.0000 3.7237 -1.6711 6.9982" Properties=species:S:1:pos:R:3 pbc="T T T"
Rb 0.0000 0.0000 0.0000
Rb 7.4777 2.0266 4.8588
Li 8.6530 0.8507 2.5904
Nd 7.2944 6.5215 0.3464
Nd 11.3277 2.0666 4.4716
W 5.4246 5.2207 3.7806
W 5.8095 3.3020 1.1325
W 9.2422 5.4255 3.6693
W 9.5730 3.3191 1.1355
O 5.1546 1.6740 6.3864
O 2.3622 1.4814 1.3106
O 3.7468 3.8392 0.7566
O 5.2175 3.2240 3.0062
O 5.8803 5.2990 1.7887
O 7.4205 4.8321 4.0568
O 5.1837 0.4286 3.5069
O 9.6745 5.2772 5.4549
O 5.2550 1.6617 0.5173
O 10.0424 2.4854 6.5308
O 7.5517 2.7097 1.6039
O 8.9293 5.1755 1.5592
O 9.7459 3.4504 3.2105
O 11.1177 5.9183 3.2210
O 12.3957 4.4081 5.3589
O 9.8109 0.3666 4.0918
```

## Properties
crystal system: triclinic
space group: P1, No. 1
density: 6.769 g/cm3

***

3) Material: Rb2LiNd2W4O16
Method: DFT, GGA+U
State: relaxed

```
25
Lattice="7.5481 0.0000 0.0000 3.6400 6.7251 0.0000 3.5646 -1.7061 7.0958" Properties=species:S:1:pos:R:3 pbc="T T T"
Rb 0.0000 0.0000 0.0000
Rb 7.3688 1.7858 4.2158
Li 4.3622 1.5305 1.9150
Nd 10.9026 4.7217 7.0130
Nd 11.1537 2.0469 4.4110
W 5.2834 5.1743 3.4700
W 5.6964 3.4010 0.7326
W 9.0481 5.2533 3.3998
W 9.4635 3.2257 0.8290
O 5.0892 1.5283 6.1178
O 2.5692 1.4788 1.1008
O 3.6935 3.8733 0.4540
O 5.0778 3.1778 2.7304
O 5.8989 5.3020 1.5581
O 7.2960 4.6535 3.7727
O 4.9024 0.3252 3.2048
O 9.5534 5.2852 5.1661
O 5.2508 1.6204 0.2972
O 9.8791 2.6347 6.2338
O 7.5868 2.7954 1.1838
O 8.9300 5.1508 1.2929
O 9.6595 3.3978 2.9813
O 11.0904 5.7329 3.0186
O 12.2961 4.3136 5.0684
O 9.7033 0.1062 4.0946
```

## Properties
crystal system: triclinic
space group: P1, No. 1
density: 6.720 g/cm3

***

Energy ordering: 2) at the bottom, the next structure 0.023 eV/atom above.

***

1) Material: Li3Ni4O8
Method: DFT, GGA+U
State: relaxed

```
15
Lattice="5.0613 -2.8372 0.0000 5.0613 2.8372 0.0000 -1.7773 0.0000 4.7798" Properties=species:S:1:pos:R:3 pbc="T T T"
Li 0.0000 0.0000 0.0000
Li 2.5265 1.4097 0.0202
Li 5.8187 1.4097 4.7595
Ni 1.6458 -0.0012 2.4264
Ni 4.1726 1.4026 2.3899
Ni 6.6994 -0.0012 2.3533
Ni 4.1726 -1.4157 2.3899
O 2.3182 1.4655 3.4450
O 0.0157 -0.0849 3.4294
O 3.2135 0.0677 1.4128
O 6.0270 1.4655 1.3347
O 2.3660 -1.4746 3.4227
O 5.1317 0.0677 3.3669
O 8.3296 -0.0849 1.3503
O 5.9793 -1.4746 1.3570
```

## Properties
crystal system: monoclinic
space group: C2, No. 5
density: 4.640 g/cm3

***

2) Material: Li3Ni4O8
Method: DFT, GGA+U
State: relaxed

```
15
Lattice="3.9569 -4.2016 0.0000 3.9569 4.2016 0.0000 -3.8946 0.0000 4.0460" Properties=species:S:1:pos:R:3 pbc="T T T"
Li 0.0000 0.0000 0.0000
Li 1.9785 2.1008 0.0000
Li 1.9785 -2.1008 0.0000
Ni 0.0311 2.1008 2.0230
Ni 0.0311 -2.1008 2.0230
Ni 3.9569 0.0000 0.0000
Ni 2.0096 0.0000 2.0230
O 3.9569 1.9064 0.0000
O 2.0568 0.0000 0.1399
O 2.0096 1.8718 2.0230
O 0.1370 0.0000 2.1470
O 3.8822 0.0000 1.8990
O 2.0096 -1.8718 2.0230
O 1.9624 0.0000 3.9061
O 3.9569 -1.9064 0.0000
```

## Properties
crystal system: monoclinic
space group: C2/m, No. 12
density: 4.735 g/cm3

***